OAHS (Ontario Aboriginal Housing Services) is a non-profit housing provider with a focus on the Indigenous communities and individuals in rural and urban areas.

Crystal structures from another source follow
<<<
No. 1
The following is a calculated powder XRD pattern of KZrP2Se8. It was derived from a structure optimized by DFT (PBE), using CuKα.
Kinematic intensities with the Lorentz-polarization factor, no thermal factor.

Top 10 peaks for 2θ from 15° to 90°, by intensity:
2θ/deg  I (rel.)
29.3  100
33.8  95
49.0  45
48.2  42
28.7  34
18.5  33
57.8  26
60.9  16
33.5  14
81.8  13

Crystal structure
```
KZrP2Se8
1.0
6.442 0.000 0.000
-3.221 5.579 0.000
0.000 0.000 9.327
K Zr P Se
1 1 2 8
Direct
0.000 0.000 0.000
0.000 0.000 0.500
0.333 0.667 0.732
0.667 0.333 0.268
0.014 0.663 0.334
0.333 0.667 0.966
0.337 0.351 0.334
0.351 0.014 0.666
0.649 0.986 0.334
0.663 0.649 0.666
0.667 0.333 0.034
0.986 0.337 0.666
```


No. 2
The following is a calculated powder XRD pattern of KSi2P. It was derived from a structure optimized by DFT (PBE), using CuKα.
Kinematic intensities with the Lorentz-polarization factor, no thermal factor.

Top 10 peaks for 2θ from 15° to 90°, by intensity:
2θ/deg  I (rel.)
36.8  100
36.6  92
28.8  43
66.0  32
52.7  30
60.0  26
89.2  21
83.9  20
54.7  16
25.9  14

Crystal structure
```
KSi2P
1.0
3.472 0.000 0.000
0.000 3.472 0.000
0.000 0.000 6.886
K Si P
1 2 1
Direct
0.000 0.000 0.000
0.000 0.000 0.486
0.500 0.500 0.661
0.500 0.500 0.338
```


No. 3
The following is a calculated powder XRD pattern of K6SiP2. It was derived from a structure optimized by DFT (PBE), using CuKα.
Kinematic intensities with the Lorentz-polarization factor, no thermal factor.

Top 10 peaks for 2θ from 15° to 90°, by intensity:
2θ/deg  I (rel.)
29.1  100
30.6  89
25.0  68
31.7  60
21.9  30
27.6  30
43.0  25
28.8  24
34.4  22
35.0  22

Crystal structure
```
K6SiP2
1.0
4.209 -8.808 0.000
4.209 8.808 0.000
0.000 0.000 10.433
K Si P
12 2 4
Direct
0.062 0.938 0.500
0.071 0.429 0.444
0.229 0.329 0.737
0.329 0.229 0.237
0.384 0.616 0.150
0.429 0.071 0.944
0.571 0.929 0.444
0.616 0.384 0.650
0.671 0.771 0.737
0.771 0.671 0.237
0.929 0.571 0.944
0.938 0.062 0.000
0.199 0.801 0.243
0.801 0.199 0.743
0.076 0.924 0.796
0.468 0.532 0.463
0.532 0.468 0.963
0.924 0.076 0.296
```


No. 4
The following is a calculated powder XRD pattern of KTe3P3. It was derived from a structure optimized by DFT (PBE), using CuKα.
Kinematic intensities with the Lorentz-polarization factor, no thermal factor.

Top 10 peaks for 2θ from 15° to 90°, by intensity:
2θ/deg  I (rel.)
25.9  100
31.3  41
27.5  40
27.9  40
17.9  37
41.1  32
50.2  29
37.5  27
42.4  25
49.6  22

Crystal structure
```
KTe3P3
1.0
9.895 0.000 0.000
-4.947 8.569 0.000
0.000 0.000 4.796
K Te P
2 6 6
Direct
0.333 0.667 0.250
0.667 0.333 0.750
0.062 0.702 0.750
0.298 0.360 0.750
0.360 0.062 0.250
0.640 0.938 0.750
0.702 0.640 0.250
0.938 0.298 0.250
0.011 0.801 0.250
0.199 0.210 0.250
0.210 0.011 0.750
0.790 0.989 0.250
0.801 0.790 0.750
0.989 0.199 0.750
```
>>>

In 1992, consultations took place across the province with the grass-roots members of the off-reserve Indigenous Organizations to determine the need for affordable, adequate and suitable housing for low and moderate income Indigenous families and individuals.

A steering committee was formed consisting of Ministry of Housing personnel and two representatives each from the Ontario Federation of Indian Friendship Centres (OFIFC), the Ontario Aboriginal Housing Association now known as the Native Housing Providers of Ontario (NHPO), the Ontario Native Women’s Association (ONWA) and the Ontario Metis Indigenous Association (OMAA). On September 1, 1994, the Ontario Aboriginal Housing Support Services Corporation was incorporated, with two representatives from each of the above organizations forming the Board of Directors. NHPO and OMAA have since withdrawn from the board, and the Métis Nation of Ontario (MNO) has joined.

We have numerous Rural locations across Ontario that offer a variety of accommodations from 1-bedroom to 3-bedroom single-family homes. We also have Urban housing that offers homes and apartments of various sizes across Ontario. These homes range from rent-geared-to-income, affordable, and market rent, depending on your source of income and need for additional support services.

Please note: Due to increased demand brought on by the COVID-19 pandemic, we are experiencing lower than usual vacancy rates at this time. This could affect wait times for available housing options.   

To apply for housing through our Central Applicant Registry, you can fill out an application online. Any questions you may have regarding the application process can be answered by calling our toll-free number at 1-866-391-1061.

No. Each applicant must later provide detailed information and go through a detailed screening and application process.

OAHS will maintain or access a waiting list of eligible applicants for the rental of non-profit units. Applications will be drawn from the waiting list in chronological order but priority will be given to applicants that are experiencing one or more of the Mandatory Placement Criteria. If the waiting list fails to produce applicants that fall under the Mandatory Placement Criteria, OAHS will then place applicants into the units by chronological order.

Yes, we certainly consider need. We also prioritize families/persons escaping violence; people who are without housing to be without housing through no fault of their own; people with no alternative but to separate and seek living accommodations with other family members because of the lack of affordable housing; people currently living with hazardous, unsafe or inadequate facilities.

+++
B7C3: simulated powder XRD pattern (Cu Kα (weighted mean of Kα1 and Kα2)), based on a structure optimized by DFT (GGA-PBE).
Kinematic intensities with the Lorentz-polarization factor, no thermal factor.

Main lines, by intensity (2θ = 10–90°):
d = 2.187 Å, I 100.0
d = 2.206 Å, I 66.0
d = 2.981 Å, I 32.4
d = 1.369 Å, I 22.3
d = 2.945 Å, I 21.2
d = 1.292 Å, I 15.8
d = 1.927 Å, I 11.0
d = 1.259 Å, I 10.8

Cell: 4.669 4.669 5.925 Å, 123.63 123.63 43.44°
Sites, in units of the cell vectors:
B  0.000  0.000  0.000
B  0.045  0.385  0.026
B  0.141  0.214  0.542
B  0.478  0.429  0.233
B  0.571  0.522  0.767
B  0.615  0.955  0.974
B  0.786  0.859  0.458
C  0.135  0.620  0.708
C  0.380  0.865  0.292
C  0.768  0.232  0.500

---

SmGa8Ni4: simulated powder XRD pattern (Cu Kα (weighted mean of Kα1 and Kα2)), based on a structure optimized by DFT (GGA-PBE).
Kinematic intensities with the Lorentz-polarization factor, no thermal factor.

Main lines, by intensity (2θ = 10–90°):
d = 2.174 Å, I 100.0
d = 2.222 Å, I 68.9
d = 2.159 Å, I 62.1
d = 2.517 Å, I 51.0
d = 1.976 Å, I 45.8
d = 1.250 Å, I 26.6
d = 1.401 Å, I 23.7
d = 2.591 Å, I 23.5

Cell: 6.634 6.634 6.634 Å, 98.78 98.78 134.01°
Sites, in units of the cell vectors:
Sm  0.000  0.000  0.000
Ga  0.000  0.344  0.344
Ga  0.000  0.656  0.656
Ga  0.277  0.500  0.777
Ga  0.344  0.000  0.344
Ga  0.500  0.277  0.777
Ga  0.500  0.723  0.223
Ga  0.656  0.000  0.656
Ga  0.723  0.500  0.223
Ni  0.000  0.000  0.500
Ni  0.000  0.500  0.000
Ni  0.500  0.000  0.000
Ni  0.500  0.500  0.500

---

Li2HgPb: simulated powder XRD pattern (Cu Kα (weighted mean of Kα1 and Kα2)), based on a structure optimized by DFT (GGA-PBE).
Kinematic intensities with the Lorentz-polarization factor, no thermal factor.

Main lines, by intensity (2θ = 10–90°):
d = 3.486 Å, I 100.0
d = 2.410 Å, I 84.6
d = 2.465 Å, I 45.1
d = 3.334 Å, I 44.8
d = 1.982 Å, I 43.5
d = 1.412 Å, I 32.6
d = 1.559 Å, I 20.4
d = 1.545 Å, I 19.8

Cell: 3.334 4.927 4.933 Å, 90.00 90.01 90.00°
Sites, in units of the cell vectors:
Li  0.000  0.000  0.000
Li  0.000  0.500  0.490
Hg  0.502  0.000  0.498
Pb  0.500  0.500  0.990

---

RbGaPb: simulated powder XRD pattern (Cu Kα (weighted mean of Kα1 and Kα2)), based on a structure optimized by DFT (GGA-PBE).
Kinematic intensities with the Lorentz-polarization factor, no thermal factor.

Main lines, by intensity (2θ = 10–90°):
d = 6.838 Å, I 100.0
d = 2.824 Å, I 89.7
d = 3.100 Å, I 58.4
d = 3.948 Å, I 41.2
d = 2.591 Å, I 34.4
d = 2.577 Å, I 33.2
d = 4.040 Å, I 27.4
d = 2.297 Å, I 24.6

Cell: 15.750 4.229 7.896 Å, 90.00 119.75 90.00°
Sites, in units of the cell vectors:
Rb  0.151  0.000  0.149
Rb  0.349  0.500  0.851
Rb  0.651  0.500  0.149
Rb  0.849  0.000  0.851
Ga  0.001  0.500  0.697
Ga  0.499  0.000  0.303
Ga  0.501  0.000  0.697
Ga  0.999  0.500  0.303
Pb  0.113  0.000  0.610
Pb  0.387  0.500  0.390
Pb  0.613  0.500  0.610
Pb  0.887  0.000  0.390

---

- What is the formula in the second record?
  SmGa8Ni4

~~~~~

[1]
+++
Here the article continues >

For most of our rental units, utilities are paid by the tenant. For some of our multi-unit properties, utilities are included in gross rents but there may be surcharges for ancillary equipment such as air conditioners. Please contact the Housing Serivces Department for details.

Each unit will have a stove and fridge.